Assignment:
Could you say how many lines of the calculation results underneath hold the word "formula", as a bare number?

Contents:
- - -
Record 1
FeSi2Rh | PBE-GGA | relaxed

The structure belongs to space group P4mm (No. 99); the cell edges are 2.691, 2.691 and 7.239 Å and the angles 90.00°, 90.00° and 90.00°. The asymmetric unit holds Fe at (0.000, 0.000, 0.000), Si at (0.000, 0.000, 0.484), Si at (0.500, 0.500, 0.782) and Rh at (0.500, 0.500, 0.257).

Its density of states at the Fermi level is 2.3 states/eV per cell. Its uncorrected formation energy is -0.07 eV per atom. As for the total energy: -0.4950 Ry/atom.

Record 2
Fe2SiRh | PBE-GGA | relaxed

The structure belongs to space group Pmmm (No. 47); the cell edges are 2.653, 3.765 and 4.977 Å and the angles 90.00°, 90.00° and 90.00°. The asymmetric unit holds Fe at (0.000, 0.000, 0.239), Si at (0.500, 0.500, 0.000) and Rh at (0.500, 0.500, 0.500).

Its density of states at the Fermi level is 2.9 states/eV per cell. Its uncorrected formation energy is -0.21 eV per atom. As for the total energy: -0.5611 Ry/atom.

Record 3
Fe2SiRh | PBE-GGA | relaxed

The structure belongs to space group Cm (No. 8); the cell edges are 8.575, 2.805 and 4.348 Å and the angles 90.00°, 108.80° and 90.00°. The asymmetric unit holds Fe at (0.000, 0.000, 0.000), Fe at (0.249, 0.500, 0.158), Si at (0.266, 0.000, 0.677) and Rh at (0.023, 0.500, 0.517).

Its density of states at the Fermi level is 6.3 states/eV per cell. Its uncorrected formation energy is -0.26 eV per atom. As for the total energy: -0.5649 Ry/atom.


{"formula": "Tm3AsS2", "functional": "GGA-PBE", "state": "relaxed", "lattice_angstrom": [[-2.391, -2.529, -1.815], [1.124, -3.826, 3.850], [-3.869, 5.112, 2.219]], "species": ["Tm", "Tm", "Tm", "S", "S", "As"], "fractional_positions": [[0.831, 0.331, 0.162], [0.500, 0.000, 0.500], [0.169, 0.669, 0.838], [0.166, 0.166, 0.832], [0.834, 0.834, 0.168], [0.500, 0.500, 0.500]], "space_group": "No. 71", "crystal_system": "orthorhombic", "dft_energy_ev_per_cell": -37.205}


{"formula": "Tm2AsS", "functional": "GGA-PBE", "state": "relaxed", "lattice_angstrom": [[3.971, 0.000, 0.000], [1.985, 3.439, 0.000], [1.985, 1.146, 6.423]], "species": ["S", "Tm", "Tm", "As"], "fractional_positions": [[0.500, 0.500, 0.500], [0.751, 0.751, 0.748], [0.249, 0.249, 0.252], [0.000, 0.000, 0.000]], "space_group": "No. 166", "crystal_system": "trigonal", "de_polymorph_mev_per_atom": 6}


{"formula": "Tm3AsS3", "functional": "GGA-PBE", "state": "relaxed", "lattice_angstrom": [[-4.376, 1.845, -6.150], [2.181, -2.210, -7.123], [-4.063, -5.679, -3.721]], "species": ["S", "S", "S", "S", "S", "S", "As", "As", "Tm", "Tm", "Tm", "Tm", "Tm", "Tm"], "fractional_positions": [[0.371, 0.830, 0.673], [0.127, 0.371, 0.673], [0.629, 0.170, 0.327], [0.830, 0.127, 0.673], [0.170, 0.873, 0.327], [0.873, 0.629, 0.327], [0.667, 0.667, 0.999], [0.333, 0.333, 0.001], [0.927, 0.292, 0.261], [0.292, 0.520, 0.261], [0.073, 0.708, 0.739], [0.708, 0.480, 0.739], [0.520, 0.927, 0.261], [0.480, 0.073, 0.739]], "space_group": "No. 148", "crystal_system": "trigonal", "dft_energy_ev_per_cell": -85.609}


{"formula": "TmAsS2", "functional": "GGA-PBE", "state": "relaxed", "lattice_angstrom": [[3.715, 0.000, 0.000], [1.857, 3.217, 0.000], [1.857, 1.072, 8.157]], "species": ["S", "S", "As", "Tm"], "fractional_positions": [[0.108, 0.108, 0.675], [0.892, 0.892, 0.325], [0.500, 0.500, 0.500], [0.000, 0.000, 0.000]], "space_group": "No. 166", "crystal_system": "trigonal", "dft_energy_ev_per_cell": -18.649}


What is the formula in the first record?
Tm3AsS2


What is the formula in the fourth record?
TmAsS2


No. 1
HoC2BrO6 | GGA-PBE | relaxed

For the density, the calculation gives 4.5 g cm⁻³. As for the crystal system: monoclinic. The calculation puts the energy at -0.5270 Ry per atom.

Unit cell a=6.489 b=6.489 c=7.427 alpha=111.82 beta=111.82 gamma=89.55
Sites, in units of the cell vectors:
O (0.306, 0.141, 0.549)
O (0.859, 0.694, 0.951)
O (0.395, 0.910, 0.729)
O (0.910, 0.395, 0.229)
O (0.289, 0.476, 0.388)
O (0.141, 0.306, 0.049)
O (0.605, 0.090, 0.271)
O (0.711, 0.524, 0.612)
- - -

Completed:
6